Frugal Wahm Magazine - Premier | Page 35

 You've been a WAHM a long time, can you tell me how it all started?

Fresh out of college & newly married, I discovered that I was pregnant with twins.  I was living in a new state with no family to lean on.  The news constantly had stories of day care providers neglecting & abusing children.  I used my nine months wisely by doing research to determine what the best home-based business would be for me.

Since high school, I was fascinated by PR & writing. I decided that the perfect business for me was writing business profiles for new female entrepreneurs.  I selected mompreneurs as my specialty since I had an affinity for women who wanted to fulfill their dream of starting their own business so they could afford to quit their jobs & be at home with their children.

I sent a PSA to a local radio station to draw attention that women who wanted to could afford to stay home with their children by using their job skills to start the perfect home-based business.  Two weeks later I was invited to do a radio interview to share my tips.  The interview generated over 400 calls & tied up my voice mail for weeks. I had prospective clients who were ready to hire me.  That's how Mothers, INC was born. That was just the beginning of the different businses & services I have had over the years.

What has been the toughest part of being a WAHM?

When I decided to work from home, I had to deal with negativity from family & friends.  I also found that I didn’t have much in common with my circle of friends who were holding down 9 to 5s.  I felt isolated.  Thank God for the Internet.  I was able to to interact with likeminded women.

  Is it hard for you to keep your work & home life separate?

-- Data records from another source follow --
(1)
Entry from the Materials Project: a relaxed Li2Si3H30C10N4 crystal (GGA-PBE).

Cell and atoms, written as CIF:
```
data_Li2Si3H30C10N4
_cell_length_a 12.7860
_cell_length_b 12.7860
_cell_length_c 14.4662
_cell_angle_alpha 80.83
_cell_angle_beta 80.83
_cell_angle_gamma 76.13
_space_group_name_H-M_alt 'P 1'
_space_group_IT_number 1
loop_
_space_group_symop_operation_xyz
'x,y,z'
loop_
_atom_site_label
_atom_site_fract_x
_atom_site_fract_y
_atom_site_fract_z
Li1 0.1578 0.8368 0.6666
Li2 0.1632 0.8422 0.8334
Li3 0.8422 0.1632 0.3334
Li4 0.8368 0.1578 0.1666
Li5 0.3475 0.7613 0.6499
Li6 0.2387 0.6525 0.8501
Li7 0.6525 0.2387 0.3501
Li8 0.7613 0.3475 0.1499
Si1 0.1519 0.6371 0.7007
Si2 0.3629 0.8481 0.7993
Si3 0.8481 0.3629 0.2993
Si4 0.6371 0.1519 0.2007
Si5 0.9665 0.7755 0.8313
Si6 0.2245 0.0335 0.6687
Si7 0.0335 0.2245 0.1687
Si8 0.7755 0.9665 0.3313
Si9 0.2672 0.6806 0.4965
Si10 0.3194 0.7328 0.0035
Si11 0.7328 0.3194 0.5035
Si12 0.6806 0.2672 0.9965
H1 0.1126 0.5090 0.8822
H2 0.4910 0.8874 0.6178
H3 0.8874 0.4910 0.1178
H4 0.5090 0.1126 0.3822
H5 0.1718 0.3908 0.8264
H6 0.6092 0.8282 0.6736
H7 0.8282 0.6092 0.1736
H8 0.3908 0.1718 0.3264
H9 0.2461 0.4323 0.9018
H10 0.5677 0.7539 0.5982
H11 0.7539 0.5677 0.0982
H12 0.4323 0.2461 0.4018
H13 0.3749 0.5128 0.6654
H14 0.4872 0.6251 0.8346
H15 0.6251 0.4872 0.3346
H16 0.5128 0.3749 0.1654
H17 0.3959 0.4348 0.7778
H18 0.5652 0.6041 0.7222
H19 0.6041 0.5652 0.2222
H20 0.4348 0.3959 0.2778
H21 0.3237 0.3926 0.7005
H22 0.6074 0.6763 0.7995
H23 0.6763 0.6074 0.2995
H24 0.3926 0.3237 0.2005
H25 0.9292 0.6021 0.9274
H26 0.3979 0.0708 0.5726
H27 0.0708 0.3979 0.0726
H28 0.6021 0.9292 0.4274
H29 0.8098 0.7070 0.9223
H30 0.2930 0.1902 0.5777
H31 0.1902 0.2930 0.0777
H32 0.7070 0.8098 0.4223
H33 0.8628 0.6338 0.8242
H34 0.3662 0.1372 0.6758
H35 0.1372 0.3662 0.1758
H36 0.6338 0.8628 0.3242
H37 0.0222 0.7905 0.9887
H38 0.2095 0.9778 0.5113
H39 0.9778 0.2095 0.0113
H40 0.7905 0.0222 0.4887
H41 0.0071 0.9192 0.9153
H42 0.0808 0.9929 0.5847
H43 0.9929 0.0808 0.0847
H44 0.9192 0.0071 0.4153
H45 0.8916 0.8721 0.9701
H46 0.1279 0.1084 0.5299
H47 0.1084 0.1279 0.0299
H48 0.8721 0.8916 0.4701
H49 0.9112 0.9550 0.7302
H50 0.0450 0.0888 0.7698
H51 0.0888 0.0450 0.2698
H52 0.9550 0.9112 0.2302
H53 0.8503 0.8563 0.6991
H54 0.1437 0.1497 0.8009
H55 0.1497 0.1437 0.3009
H56 0.8563 0.8503 0.1991
H57 0.7989 0.9168 0.8040
H58 0.0832 0.2011 0.6960
H59 0.2011 0.0832 0.1960
H60 0.9168 0.7989 0.3040
H61 0.1386 0.8443 0.4238
H62 0.1557 0.8614 0.0762
H63 0.8614 0.1557 0.5762
H64 0.8443 0.1386 0.9238
H65 0.1981 0.7501 0.3421
H66 0.2499 0.8019 0.1579
H67 0.8019 0.2499 0.6579
H68 0.7501 0.1981 0.8421
H69 0.0895 0.7243 0.4292
H70 0.2757 0.9105 0.0708
H71 0.9105 0.2757 0.5708
H72 0.7243 0.0895 0.9292
H73 0.3647 0.4822 0.5060
H74 0.5178 0.6353 0.9940
H75 0.6353 0.5178 0.4940
H76 0.4822 0.3647 0.0060
H77 0.2297 0.5004 0.4799
H78 0.4996 0.7703 0.0201
H79 0.7703 0.4996 0.5201
H80 0.5004 0.2297 0.9799
H81 0.3317 0.5376 0.3907

YES.  My husband was able to stop working at 5 but my business day didn’t end until I hit the pillow.  Between the kids, cleaning & cooking, my day was never ending & still is.

What is your secret to not letting your work life consume your family time?

When you are growing a business with no funding using your blood, sweat and tears, there is no way to not let work consume family time.  You just have the make the most of the time you spend together & get your family involved as much as possible to help free up your time.  If your kids are old enough &computer savvy, they can do updates to your site, read through your emails, post items on social networking sites, proofread articles & more. 

Do you think working from home is for everyone?

No, it’s not.  You have to enjoy long hours, think on your feet to keep money flowing, defend yourself to family and friends why you don’t have a 9 to 5.

What would you tell someone who wants to work at home, but doesn’t think they could?

Have faith.  Surround yourself w/ a support group.  Research the type of business you want to start.  Make an informed decision & take a leap of faith if your business idea is truly viable.

What do you like the least?

You aren’t guaranteed a paycheck.  Depending on the economy and the news of the day, you can come up short.

Do you see yourself still WAH in 5 years from now?

Most definitely!

What advice do you offer new WAH moms?

Start a business that matches your personality & skillset.  If you aren’t passionate about the business you are starting, how can you sell yourself to potential clients.  Your passion has to reverberate in your voice and eyes.

Where is the best place to look for work at home?

I am a BIG believer in using your own skills to create a work at home job.  If you want to get into a business opportunity, make sure it’s one that whose products & services you would personally use.  Stay away from the latest fad business.  I don’t understand how people are pushing the latest health product that will help with high blood pressure, arthritis & more when they don’t even have the conditions & have not personally benefited from them.

Anything else you would like to add?

When my girls were little, I told that a job was not guaranteed.  They needed to take business classes in school so they could create their own dynasties.  I named all three of

them with dynamic first & middle names so they could stand out.  I guess I was grooming them for entrepreneurship while they were in the womb.

Now I am grandmother with two little ones living under the same roof with me.  I have to re-adjust my times for meetings to prevent the world from hearing baby cry.  I have to stop working when my granddaughter walks into the room & demands my attention.  I simply love it!

Celebrating YOU!

Work at home moms taking super mom to the next level

Jerrilynn Thomas

In 1988 When Jerrilyn Thomas entered the world of work at home mom it was still in its infancy. Now, 25 years later, this veteran is taking on the next challenge by being a Work at Home Grandma. FW Magazine Editor Stacee Schmidt-Cottrell sat down w/ Jerrilynn to learn the secrets of being a super WAHM.


Clebrating You! Continued on Page 36